Material >
********
For Sc3P2Ir3Rh4, the PBE geometry in Alexandria gives the computed XRD peak list in this record (a wavelength of 1.5418 Å).
Peak positions follow from Bragg's law for the DFT cell and can differ from measured ones.

Top 10 peaks for 2θ from 10° to 90°, in order of rising 2θ:
2theta, Rel. int.
14.50, 33
24.25, 23
28.89, 18
31.25, 19
32.12, 39
34.61, 69
36.77, 25
43.32, 100
45.49, 32
46.63, 21

abc: 12.552 12.552 12.552
angles: 161.72 26.37 161.15
Atoms (fractional coordinates):
Sc  0.000  0.000  0.000
Sc  0.547  0.742  0.805
Sc  0.937  0.742  0.195
P  0.163  0.737  0.426
P  0.311  0.737  0.574
Ir  0.114  0.234  0.880
Ir  0.353  0.234  0.120
Ir  0.562  0.062  0.500
Rh  0.043  0.742  0.301
Rh  0.440  0.742  0.699
Rh  0.624  0.239  0.385
Rh  0.855  0.239  0.615

* * * * *

Diffraction record for Na5As2Pd. The PXRD pattern is theoretical, not measured: it uses a DFT-relaxed cell (GGA-PBE, Alexandria) and Cu Kα.
Peak positions follow from Bragg's law for the DFT cell and can differ from measured ones.

Lattice parameters (Å, degrees): 5.0504 5.0504 18.0232 90.00 90.00 120.00
Positions (direct):
Na 0.0000 0.0000 0.1518
Na 0.0000 0.0000 0.3482
Na 0.0000 0.0000 0.6518
Na 0.0000 0.0000 0.8482
Na 0.3333 0.6667 0.0505
Na 0.3333 0.6667 0.2500
Na 0.3333 0.6667 0.4495
Na 0.6667 0.3333 0.5505
Na 0.6667 0.3333 0.7500
Na 0.6667 0.3333 0.9495
As 0.3333 0.6667 0.6161
As 0.3333 0.6667 0.8839
As 0.6667 0.3333 0.1161
As 0.6667 0.3333 0.3839
Pd 0.3333 0.6667 0.7500
Pd 0.6667 0.3333 0.2500

Most intense lines, 15° ≤ 2θ ≤ 90°, low angle first:
| Position (°2θ) | d_spacing | I (rel.) |
| --- | --- | --- |
| 20.30 | 4.374 | 34.6 |
| 20.90 | 4.250 | 100.0 |
| 35.55 | 2.525 | 85.8 |
| 36.28 | 2.476 | 21.8 |
| 40.66 | 2.219 | 41.7 |
| 54.59 | 1.681 | 19.4 |

Diffraction record for ZnInRe. The PXRD pattern is theoretical, not measured: it uses a DFT-relaxed cell (GGA-PBE, Alexandria) and Cu Kα.
Peak positions follow from Bragg's law for the DFT cell and can differ from measured ones.

Lattice parameters (Å, degrees): 5.1853 5.1853 5.1853 149.03 133.41 57.00
Positions (direct):
Zn 0.0000 0.0000 0.0000
In 0.6949 0.6949 0.0000
Re 0.3777 0.3777 0.0000

Most intense lines, 15° ≤ 2θ ≤ 90°, low angle first:
| Position (°2θ) | d_spacing | I (rel.) |
| --- | --- | --- |
| 19.48 | 4.557 | 22.1 |
| 23.79 | 3.740 | 23.9 |
| 36.82 | 2.441 | 96.1 |
| 39.26 | 2.295 | 88.7 |
| 44.23 | 2.048 | 100.0 |
| 64.31 | 1.448 | 36.9 |

Diffraction record for TcNi3. The PXRD pattern is theoretical, not measured: it uses a DFT-relaxed cell (GGA-PBE, Alexandria) and Cu Kα.
Peak positions follow from Bragg's law for the DFT cell and can differ from measured ones.

Lattice parameters (Å, degrees): 2.5648 2.5648 7.1596 90.00 90.00 90.00
Positions (direct):
Tc 0.0000 0.0000 0.0000
Ni 0.0000 0.0000 0.5000
Ni 0.5000 0.5000 0.2590
Ni 0.5000 0.5000 0.7410

Most intense lines, 15° ≤ 2θ ≤ 90°, low angle first:
| Position (°2θ) | d_spacing | I (rel.) |
| --- | --- | --- |
| 43.40 | 2.085 | 100.0 |
| 50.31 | 1.814 | 32.0 |
| 51.02 | 1.790 | 14.9 |
| 73.91 | 1.282 | 9.4 |
| 74.48 | 1.274 | 18.0 |
| 89.78 | 1.092 | 22.7 |

* * * * *

Entry 1:
LiVRu3: theoretical powder X-ray diffraction pattern (Cu Kα X-rays), based on a PBE-relaxed structure.
Kinematic intensities with the Lorentz-polarization factor, no thermal factor.

Structural model:
Cell lengths 4.476, 4.476, 4.476 Å; angles 90.00, 90.00, 90.00 degrees
Sites, in units of the cell vectors:
Li 0.000 0.000 0.000
V 0.500 0.500 0.500
Ru 0.000 0.500 0.500
Ru 0.500 0.000 0.500
Ru 0.500 0.500 0.000

Peak list (10 most intense, 5° ≤ 2θ ≤ 70°, sorted by position)
- d 4.476, intensity 1000
- d 3.165, intensity 83
- d 2.584, intensity 993
- d 2.238, intensity 929
- d 2.002, intensity 431
- d 1.827, intensity 37
- d 1.583, intensity 608
- d 1.492, intensity 199
- d 1.415, intensity 16
- d 1.350, intensity 384

---

Entry 2:
Sn5Te4P: theoretical powder X-ray diffraction pattern (Cu Kα X-rays), based on a PBE-relaxed structure.
********

Job >
Now type out every line further up that contains the word "Structural".

Written answer >
Structural model: